## Input
'''
No. 1
Theoretical X-ray powder pattern of Pr4ZnCoI2 for Cu Kα (weighted mean of Kα1 and Kα2), from a structure optimized by DFT (GGA-PBE).
No peak broadening, texture or thermal motion is included.

Lattice parameters (Å, degrees): 7.5303 4.1348 8.4825 90.00 106.11 90.00
Space group P2/m (No. 10)
Symmetry-distinct sites (fractional):
Pr: 0.2203 0.0000 0.1869 [2 per cell]
Pr: 0.2276 0.5000 0.8064 [2 per cell]
Zn: 0.5000 0.0000 0.0000 [1 per cell]
Co: 0.0000 0.5000 0.0000 [1 per cell]
I: 0.0000 0.0000 0.5000 [1 per cell]
I: 0.5000 0.5000 0.5000 [1 per cell]

Principal peaks in the range 10 to 90 degrees two-theta, in order of rising 2θ:
Position (°2θ), I (rel.)
28.08, 41.2
28.52, 100.0
30.85, 24.3
32.97, 16.6
37.55, 16.8
38.72, 22.2
42.12, 32.1
43.79, 18.9
50.48, 10.8
52.83, 14.1
54.79, 8.8
54.98, 12.2



No. 2
Theoretical X-ray powder pattern of CoNiAg2 for Cu Kα (weighted mean of Kα1 and Kα2), from a structure optimized by DFT (GGA-PBE).
No peak broadening, texture or thermal motion is included.

Lattice parameters (Å, degrees): 9.1054 2.7194 4.7726 90.00 99.38 90.00
Space group C2/m (No. 12)
Symmetry-distinct sites (fractional):
Co: 0.0000 0.0000 0.0000 [2 per cell]
Ni: 0.0000 0.5000 0.5000 [2 per cell]
Ag: 0.2493 0.0000 0.7493 [4 per cell]

Principal peaks in the range 10 to 90 degrees two-theta, in order of rising 2θ:
Position (°2θ), I (rel.)
19.76, 23.4
40.20, 100.0
40.38, 98.7
46.37, 32.5
47.11, 61.9
68.18, 19.1
68.31, 19.0
81.84, 18.0
82.64, 11.1
82.76, 11.0
83.06, 21.9
87.30, 9.8



No. 3
Theoretical X-ray powder pattern of Nd14TmHg for Cu Kα (weighted mean of Kα1 and Kα2), from a structure optimized by DFT (GGA-PBE).
No peak broadening, texture or thermal motion is included.

Lattice parameters (Å, degrees): 10.3446 10.1996 10.2124 90.00 90.00 90.00
Space group Amm2 (No. 38)
Symmetry-distinct sites (fractional):
Nd: 0.0000 0.0000 0.0000 [2 per cell]
Nd: 0.0000 0.0000 0.4932 [2 per cell]
Nd: 0.0000 0.2397 0.2452 [4 per cell]
Nd: 0.2388 0.0000 0.7471 [4 per cell]
Nd: 0.2566 0.2492 0.4940 [8 per cell]
Nd: 0.2721 0.0000 0.2486 [4 per cell]
Nd: 0.5000 0.2277 0.7338 [4 per cell]
Tm: 0.5000 0.0000 0.9926 [2 per cell]
Hg: 0.5000 0.0000 0.4919 [2 per cell]

Principal peaks in the range 10 to 90 degrees two-theta, in order of rising 2θ:
Position (°2θ), I (rel.)
30.20, 100.0
34.69, 16.9
35.17, 33.4
50.23, 23.0
50.59, 11.6
59.41, 13.2
60.06, 26.9
62.80, 11.5
81.74, 10.3
82.30, 5.2
83.88, 4.5
85.00, 4.9



No. 4
Theoretical X-ray powder pattern of Na6AcPb2 for Cu Kα (weighted mean of Kα1 and Kα2), from a structure optimized by DFT (GGA-PBE).
No peak broadening, texture or thermal motion is included.

Lattice parameters (Å, degrees): 4.7728 4.7728 13.5346 90.00 90.00 90.00
Space group P4/mmm (No. 123)
Symmetry-distinct sites (fractional):
Na: 0.0000 0.0000 0.0000 [1 per cell]
Na: 0.0000 0.5000 0.2228 [4 per cell]
Na: 0.5000 0.5000 0.0000 [1 per cell]
Ac: 0.0000 0.0000 0.5000 [1 per cell]
Pb: 0.5000 0.5000 0.3888 [2 per cell]

Principal peaks in the range 10 to 90 degrees two-theta, in order of rising 2θ:
Position (°2θ), I (rel.)
13.08, 18.6
26.41, 41.9
27.22, 100.0
29.58, 35.6
32.43, 54.6
37.69, 33.9
38.25, 56.4
44.44, 14.3
47.10, 19.6
50.56, 32.3
54.77, 26.4
61.85, 16.8



No. 5
Theoretical X-ray powder pattern of Ag3Br5Cl for Cu Kα (weighted mean of Kα1 and Kα2), from a structure optimized by DFT (GGA-PBE).
No peak broadening, texture or thermal motion is included.

Lattice parameters (Å, degrees): 12.4455 10.0739 10.5407 90.00 121.06 90.00
Space group C2/m (No. 12)
Symmetry-distinct sites (fractional):
Ag: 0.0000 0.0000 0.0000 [2 per cell]
Ag: 0.0000 0.0000 0.5000 [2 per cell]
Ag: 0.1629 0.5000 0.1614 [4 per cell]
Ag: 0.1680 0.5000 0.6679 [4 per cell]
Br: 0.0000 0.3152 0.0000 [4 per cell]
Br: 0.0589 0.5000 0.3784 [4 per cell]
Br: 0.1624 0.1754 0.6614 [8 per cell]
Br: 0.2306 0.0000 0.0440 [4 per cell]
Cl: 0.1128 0.0000 0.2769 [4 per cell]

Principal peaks in the range 10 to 90 degrees two-theta, in order of rising 2θ:
'''
## Request
Say how many lines of the lines further up hold the word "broadening", as a bare number, please.
## Response
5